Notice of competition
XQ.EUJOY project (within the European tender CREA-CROSS-2022-JOURPART) is announcing a competition reserved for Italian, Spanish, and Portuguese students, aged between 18 and 25 years old, with a passion for journalism.
The consortium is made up of Dataninja (Milan), IdeaDinamica (Bari), Associação Portuguesa de Educação Ambiental (Lisbon), Ediciones Octaedro (Barcelona), and Fundació Periodisme Plural (Barcelona).
The consortium is offering NINE scholarships (three for each country) that can be used to participate in an internship experience abroad, lasting a week, which will take place in Italy, Spain, or Portugal at the headquarters of one of the partner companies of the consortium. The scholarship includes airfare, accommodation, and a daily living allowance. Participation in the competition is by sending a letter of motivation and a CV.
In addition, participants will have access to a training programme.
Internship training programme
All participants will complete our online, self-paced data journalism course, designed by Dataninja. The course will cover:
- Finding data
- Data cleaning/organizing
- Data analysis
- Visualization
- Data storytelling (that is different from regular journalistic reporting, because it is about sources, methods of analysis, references to sources and beyond
- The training also includes the production of an article that will be part of a special edition of XQ.The News.
INTERNSHIP IN IDEA DINAMICA (Italy) – (November 2024)
Participants who carry out their stay with IDEA DINAMICA will also be vinculated with the University of Bari, and will have access to training in the following theoretical and operational areas:
- Journalistic ethics
- How to recognise news
- Theories and methods of investigative journalism
- How to package an investigation: article, reportage, documentary, graphic journalism, podcast
- Investigations and social media: a complex relationship
- In addition, the training will include participation in the Forum of Mediterranean women journalists 2024 that will take place in Bari in November.
INTERNSHIP IN ASPEA (Portugal) – (1 week between July and November 2024)
With the climate emergency being ever more present in daily life, ASPEA will offer training on how to report on those issues, without falling into the common difficulties. In particular, the training will cover the following topics:
- What is a climate story
- Strategies on how to create narratives about climate emergency
Inserted here: crystal structures:
'''
(1)
Here is a relaxed structure of MgNbFeSb2 from Alexandria. Energies are from PBE-GGA.

## Properties
Its total energy is -4.69 eV/atom. As for the spin magnetization: 3.61 μB/cell. The volume is 148 Å³/f.u. As for the formation energy without anion corrections: 0.9873 eV/atom. Its density of states at the Fermi level is 9.1 states/eV per cell. As for the calculated density: 4.66 g/cm³.

Lattice parameters (Å, degrees): 5.286 5.286 5.308 90.00 90.00 90.00
Space group P4/mmm (No. 123)
Unique sites:
Mg 0.000 0.000 0.000 [1 per cell]
Nb 0.000 0.000 0.500 [1 per cell]
Fe 0.500 0.500 0.000 [1 per cell]
Sb 0.000 0.500 0.500 [2 per cell]

***

(2)
Here is a relaxed structure of LiPbI2O from Alexandria. Energies are from PBE-GGA.

## Properties
Its total energy is -3.15 eV/atom. As for the spin magnetization: 1.13 μB/cell. The volume is 129 Å³/f.u. As for the formation energy without anion corrections: -0.4180 eV/atom. Its density of states at the Fermi level is 3.3 states/eV per cell. As for the calculated density: 6.23 g/cm³.

Lattice parameters (Å, degrees): 5.713 5.713 3.949 90.00 90.00 90.00
Space group P4/mmm (No. 123)
Unique sites:
Li 0.000 0.000 0.000 [1 per cell]
Pb 0.500 0.500 0.500 [1 per cell]
I 0.000 0.500 0.000 [2 per cell]
O 0.000 0.000 0.500 [1 per cell]

***

(3)
Here is a relaxed structure of ScAsPb2 from Alexandria. Energies are from PBE-GGA.

## Properties
Its total energy is -4.76 eV/atom. As for the spin magnetization: 0.00 μB/cell. The volume is 100 Å³/f.u. For the formation energy, the calculation gives -0.163 eV per atom. Its density of states at the Fermi level is 4.1 states/eV per cell. As for the calculated density: 8.87 g/cm³.

Lattice parameters (Å, degrees): 4.422 4.422 10.226 90.00 90.00 90.00
Space group I-4m2 (No. 119)
Unique sites:
Sc 0.000 0.000 0.000 [2 per cell]
As 0.000 0.500 0.750 [2 per cell]
Pb 0.000 0.000 0.500 [2 per cell]
Pb 0.000 0.500 0.250 [2 per cell]

***

(4)
Here is a relaxed structure of Pm4Te4H from Alexandria. Energies are from PBE-GGA.

## Properties
Its total energy is -5.17 eV/atom. As for the spin magnetization: 0.00 μB/cell. The volume is 254 Å³/f.u. Its density of states at the Fermi level is 12.3 states/eV per cell. As for the calculated density: 7.15 g/cm³.

Lattice parameters (Å, degrees): 9.004 9.004 6.254 90.00 90.00 90.00
Space group P4_2/nmc (No. 137, origin choice 2)
Unique sites:
Pm 0.037 0.750 0.024 [8 per cell]
Te 0.029 0.250 0.473 [8 per cell]
H 0.250 0.750 0.250 [2 per cell]

***

(5)
Here is a relaxed structure of Nd8Er3Sc from Alexandria. Energies are from PBE-GGA.

## Properties
Its total energy is -4.29 eV/atom. As for the spin magnetization: 0.02 μB/cell. The volume is 440 Å³/f.u. For the formation energy, the calculation gives 0.558 eV per atom. Its density of states at the Fermi level is 39.3 states/eV per cell. As for the calculated density: 6.42 g/cm³.

Lattice parameters (Å, degrees): 8.687 8.687 11.650 90.00 90.00 90.00
Space group I-42m (No. 121)
Unique sites:
'''
- How to cover the impacts of climate emergency on local communities and worldwide
- Challenges of covering climate stories
- Climate journalism vs climate activism
- Solutions/Constructive journalism approach
INTERNSHIP IN OCTAEDRO AND FUNDACIÓ PERIODISME PLURAL (Spain) – (1 week between July and November 2024)
Participants who do their traineeship in Spain will be part of both the Fundació Periodisme Plural and Octaedro. They will have access to a journalistic training programme in the following areas
- Journalistic genres (interview, chronicle, analysis…)
- In-depth journalism
- Press conference practice
- Journalism and education
- The image in the digital environment (photography, design, networks, etc.).
- Editorial work of XQ.The News media, learning all the stages of publishing articles.
The training also includes the production of an article that will be part of a special edition of XQ.The News.
Art. 1 – Scope and purpose of the call
The consortium has launched a European media portal (, currently written in Spanish, Portuguese, Italian, and English, characterized by innovative editorial processes involving the five members of the consortium and which it now intends to expand to the participation of adequately trained young journalists thanks to this call.
The XQ.EUJOY project also aims to establish cooperative links between youth media and educational organizations from different EU countries. The project focuses on Spain, Italy, and Portugal, but the idea is to expand it to all European countries, offering journalistic products that have pedagogical value and are understandable for all adolescents and young people.
Art. 2 – Prize up for grabs
The objective of the competition is to offer the winners a great internship opportunity, thanks to the provision of a SCHOLARSHIP to each of the NINE winners to allow them to be able to cover the costs of travel, food, and accommodation in the assigned foreign country and thus be able to attend the one-week internship.
Art. 3 – Recipients
The call for applications is aimed at students aged between 18 and 25, from the national education systems of Spain, Portugal, and Italy, who are passionate about journalism and digital information. The winners of the call will have access to an international practical and theoretical internship, in which they will have the opportunity to carry out journalistic investigations, articles, radio or television reports on topics related to environmental issues, ecological transition, data journalism, human rights and the role that Artificial Intelligence can play in these issues.
Art. 4 – Modalities of candidate selection
Participation in the call is free. Applicants must send:
- Letter of motivation (native language and English, 4.000 characters)
- Currículum (English)
The letter of motivation has to include an answer to the following critical questions:
“How can journalism improve the participation of young people in European political life? How can journalism reduce electoral abstentionism in Europe while creating more aware voters and reducing the impact of fake news on electoral proceedings?”
Art. 5 – Registration and submission deadline
Each candidate must upload the files via the application form at this link.
You can then express your preference for the foreign country in which you would like to carry out the internship. The only language skill required is fluent English as a second language. No other second language skills are mandatory.
The application must be uploaded by 15 June 2024.
For further information, please write to the following e-mail address:
By sending the application, each candidate transfers the exclusive rights to use the work. All the works submitted will not be returned.
Art. 6 – Use of documents and processing of personal data
As part of the organization of the competition, promotional initiatives may be carried out, at times and in ways to be established. Participants, with the membership application, without needing further written release, accept that they have nothing to claim for any reason or title relating to the initiatives described above. Participation in the competition entails acceptance of all the points contained in this announcement; failure to consent to even one of these points cancels participation in the competition itself. All personal data will be used solely and exclusively for what concerns the competition and the activities connected to it. The data collected will not be communicated or disclosed to third parties for purposes other than this competition.
Art. 7 – Jury
The submissions will be evaluated by a jury made up of representatives of the consortium: journalists, university lecturers, and experts in communication and new media.
The jury’s judgment is, for all legal purposes, unquestionable and characterized by technical discretion.
Art. 8 – Selection of winners
The work of the jury will be completed by 20 June 2024.
Each participant will be sent an email with the results of the competition.
The final lists of winners and reserves will be published on the project website:
Art. 9 – Acceptance of the rules of the call
Participation in the competition is considered as full acceptance of this call.
Each candidate must upload the two files via the application form.
Go to the application form: Application Form